# Brief
Say how many lines of the entries further below hold the word "Be", as a bare number, please.

# Entries
********
Record 1
Structure and computed PXRD pattern of ScBeCr (a cell relaxed with PBE; Cu Kα).
No peak broadening, texture or thermal motion is included.

Crystal structure
abc: 3.0464 3.0464 9.3679
angles: 90.00 90.00 90.00
Fractional coordinates of all 6 atoms:
Sc: 0.0000 0.0000 0.0000
Sc: 0.5000 0.5000 0.2875
Be: 0.5000 0.5000 0.5828
Be: 0.5000 0.5000 0.8128
Cr: 0.0000 0.0000 0.4822
Cr: 0.0000 0.0000 0.6958

Principal peaks in the range 10° ≤ 2θ ≤ 80°, most intense first:
2θ (°)  I_rel
41.94  100
35.14  86
30.87  73
49.06  60
29.32  59
41.41  35
60.81  30
58.19  27
38.44  26
67.40  18

Record 2
Structure and computed PXRD pattern of Li2TlAsBr6 (a cell relaxed with PBE; Cu Kα).
No peak broadening, texture or thermal motion is included.

Crystal structure
abc: 8.8258 8.8258 8.8258
angles: 45.49 45.49 45.49
Fractional coordinates of all 10 atoms:
Li: 0.1691 0.1691 0.1691
Li: 0.8309 0.8309 0.8309
Tl: 0.0000 0.0000 0.0000
As: 0.5000 0.5000 0.5000
Br: 0.1109 0.7582 0.4383
Br: 0.2418 0.5617 0.8891
Br: 0.4383 0.1109 0.7582
Br: 0.5617 0.8891 0.2418
Br: 0.7582 0.4383 0.1109
Br: 0.8891 0.2418 0.5617

Principal peaks in the range 10° ≤ 2θ ≤ 80°, most intense first:
2θ (°)  I_rel
28.49  100
34.74  89
16.76  70
46.06  43
21.24  39
33.88  21
53.63  21
41.09  20
43.27  20
58.51  19

Record 3
Structure and computed PXRD pattern of FeNi2C6N6 (a cell relaxed with PBE; Cu Kα).
No peak broadening, texture or thermal motion is included.

Crystal structure
abc: 7.0952 7.0952 7.0952
angles: 60.00 60.00 60.00
Fractional coordinates of all 15 atoms:
Fe: 0.0000 0.0000 0.0000
Ni: 0.2500 0.2500 0.2500
Ni: 0.5000 0.5000 0.5000
C: 0.1873 0.1873 0.8127
C: 0.1873 0.8127 0.1873
C: 0.1873 0.8127 0.8127
C: 0.8127 0.1873 0.1873
C: 0.8127 0.1873 0.8127
C: 0.8127 0.8127 0.1873
N: 0.3044 0.3044 0.6956
N: 0.3044 0.6956 0.3044
N: 0.3044 0.6956 0.6956
N: 0.6956 0.3044 0.3044
N: 0.6956 0.3044 0.6956
N: 0.6956 0.6956 0.3044

Principal peaks in the range 10° ≤ 2θ ≤ 80°, most intense first:
2θ (°)  I_rel
25.10  100
17.68  75
35.80  61
15.29  35
58.14  32
51.52  28
44.22  26
70.19  25
29.53  21
40.19  12

Record 4
Structure and computed PXRD pattern of CsK2ScBr6 (a cell relaxed with PBE; Cu Kα).
No peak broadening, texture or thermal motion is included.

Crystal structure
abc: 8.5454 8.5454 8.5454
angles: 56.96 56.96 56.96
Fractional coordinates of all 10 atoms:
Cs: 0.0000 0.0000 0.0000
K: 0.2008 0.2008 0.2008
K: 0.7160 0.7160 0.7160
Sc: 0.5141 0.5141 0.5141
Br: 0.1796 0.4264 0.7290
Br: 0.3342 0.8564 0.5824
Br: 0.4264 0.7290 0.1796
Br: 0.5824 0.3342 0.8564
Br: 0.7290 0.1796 0.4264
Br: 0.8564 0.5824 0.3342

Principal peaks in the range 10° ≤ 2θ ≤ 80°, most intense first:
2θ (°)  I_rel
25.17  100
33.39  55
15.04  48
37.68  32
38.25  32
33.86  20
20.83  19
25.58  18
30.34  17
44.10  17

Record 5
Structure and computed PXRD pattern of Nd14YEr (a cell relaxed with PBE; Cu Kα).
No peak broadening, texture or thermal motion is included.

Crystal structure
abc: 10.3551 7.3323 7.3323
angles: 89.98 90.00 90.00
Fractional coordinates of all 16 atoms:
Nd: 0.0000 0.0000 0.0000
Nd: 0.0000 0.4992 0.4992
Nd: 0.0000 0.5002 0.9990
Nd: 0.0000 0.9990 0.5002
Nd: 0.2520 0.2502 0.2502
Nd: 0.2521 0.2501 0.7490
Nd: 0.2521 0.7490 0.2501
Nd: 0.2522 0.7489 0.7489
Nd: 0.5000 0.0001 0.4991
Nd: 0.5000 0.4991 0.0001
Nd: 0.7480 0.2502 0.2502
Nd: 0.7479 0.2501 0.7490
Nd: 0.7479 0.7490 0.2501
Nd: 0.7478 0.7489 0.7489
Y: 0.5000 0.9992 0.9992
Er: 0.5000 0.4999 0.4999

Principal peaks in the range 10° ≤ 2θ ≤ 80°, most intense first:
2θ (°)  I_rel
29.86  100
34.62  51
59.13  43
49.76  36
62.04  12
72.99  4
73.11  2
14.80  1

Record 6
Structure and computed PXRD pattern of RbTl9Cd3 (a cell relaxed with PBE; Cu Kα).
No peak broadening, texture or thermal motion is included.

Crystal structure
abc: 8.6669 8.6669 8.5952
angles: 97.35 97.35 138.07
Fractional coordinates of all 13 atoms:
Rb: 0.0000 0.0000 0.0000
Tl: 0.0000 0.0000 0.5000
Tl: 0.0047 0.6448 0.6461
Tl: 0.2951 0.5120 0.7892
Tl: 0.3552 0.9953 0.3539
********

# Here it is
2